Saturday, August 12, 2023

Sad endings

It's particularly painful to see yourself so connected to fictitious characters. Holding onto them, crying with them. Real world does not move me as us they do. Why? Is it because I am lonely, craving a connection, craving the need to be understood?

They know what we want. They know how to manipulate us into little soft balls of  play dough. We, the audience, are totally malleable in their hands. 

The state of acknowledging that someone else has such power over us, could that be an act of intelligence?

I know, at this point I am rambling, because I want to bare all. I want to show you the inside of my soul. I want to give up on my feigned sanity. I want you to give in to my stubborn desire.

But I lie, because I still don't dare to show all.

_What comes next are calculated crystals, not part of the page_
This record from Materials Project describes a geometry-optimized Mg6CuSnO8 structure. The functional is PBE.

ΔE to the lowest computed polymorph   21.9 meV/atom
ΔE_f   -2.455 eV/atom
VASP energy   -5.69 eV/atom

abc: 4.3986 4.3986 8.8586
angles: 90.00 90.00 90.00
With the nearest neighbours (Å) after each atom.
Space group P4/mmm (No. 123)
One atom of each set of equivalent atoms:
Mg1 0.0000 0.0000 0.0000 (multiplicity 1)  6 O 2.20-2.22
Mg2 0.0000 0.0000 0.5000 (multiplicity 1)  6 O 2.20-2.21
Mg3 0.0000 0.5000 0.2307 (multiplicity 4)  5 O 2.04-2.21
Cu1 0.5000 0.5000 0.0000 (multiplicity 1)  6 O 2.20
Sn1 0.5000 0.5000 0.5000 (multiplicity 1)  6 O 2.20-2.22
O1 0.0000 0.0000 0.2511 (multiplicity 2)  6 Mg 2.21-2.22
O2 0.0000 0.5000 0.0000 (multiplicity 2)  4 Mg 2.04-2.20, 2 Cu 2.20
O3 0.0000 0.5000 0.5000 (multiplicity 2)  2 Sn 2.20, 4 Mg 2.20-2.39
O4 0.5000 0.5000 0.2488 (multiplicity 2)  1 Cu 2.20, 4 Mg 2.21, 1 Sn 2.22

This record from Materials Project describes a geometry-optimized Sr2MgCuO4 structure. The functional is PBE.

ΔE to the lowest computed polymorph   24.9 meV/atom
ΔE_f   -2.207 eV/atom
VASP energy   -5.47 eV/atom

abc: 5.5747 5.2504 8.8218
angles: 90.00 98.17 90.00
With the nearest neighbours (Å) after each atom.
Space group C2/m (No. 12)
One atom of each set of equivalent atoms:
Sr1 0.0294 0.0000 0.1975 (multiplicity 4)  5 O 2.47-2.62
Mg1 0.0000 0.5000 0.5000 (multiplicity 2)  2 O 1.86
Cu1 0.0000 0.5000 0.0000 (multiplicity 2)  4 O 1.91
O1 0.1741 0.5000 0.3354 (multiplicity 4)  1 Mg 1.86
O2 0.2500 0.2500 0.0000 (multiplicity 4)  2 Cu 1.91

This record from Materials Project describes a geometry-optimized Sr2MgCu4O6 structure. The functional is PBE.

ΔE to the lowest computed polymorph   248.6 meV/atom
ΔE_f   -1.507 eV/atom
VASP energy   -5.12 eV/atom

abc: 4.7631 9.9584 4.1060
angles: 90.00 90.00 90.00
With the nearest neighbours (Å) after each atom.
Space group Pmm2 (No. 25)
One atom of each set of equivalent atoms:
Sr1 0.0000 0.0000 0.0000 (multiplicity 1)  6 O 2.38-2.48
Sr2 0.5000 0.5000 0.1354 (multiplicity 1)  6 O 2.55-2.63
Mg1 0.5000 0.0000 0.4724 (multiplicity 1)  2 O 1.97-2.14
Cu1 0.0000 0.3241 0.5125 (multiplicity 2)  2 O 1.85
Cu2 0.5000 0.1914 0.8576 (multiplicity 2)  2 O 1.78-1.99
O1 0.0000 0.1379 0.5038 (multiplicity 2)  1 Cu 1.85
O2 0.0000 0.5000 0.3658 (multiplicity 1)  2 Cu 1.85
O3 0.5000 0.0000 0.9927 (multiplicity 1)  2 Mg 1.97-2.14, 2 Cu 1.99
O4 0.5000 0.3415 0.6218 (multiplicity 2)  1 Cu 1.78

This record from Materials Project describes a geometry-optimized Sr2MgCuO4 structure. The functional is PBE.

ΔE to the lowest computed polymorph   0.0 meV/atom
ΔE_f   -2.232 eV/atom
VASP energy   -5.50 eV/atom

abc: 3.7282 3.7282 16.7440
angles: 90.00 90.00 90.00
With the nearest neighbours (Å) after each atom.
Space group I-4m2 (No. 119)
One atom of each set of equivalent atoms:
Sr1 0.0000 0.0000 0.1050 (multiplicity 4)  4 O 2.53-2.60
Mg1 0.0000 0.5000 0.2500 (multiplicity 2)  4 O 2.15

I fear powerful words.

Like love. And Loss.

They keep building through life, building up. I keep my raw edge blunt. Because I fear cutting myself otherwise. And then bleeding all out.

So I keep my hesitation intact. I don't dare to name real feelings, just keep them as a sound that barely leaves my throat.

Only at times, through fiction, do I occasionally let the build up materialise into something tangible.

Knowing that soon it will ebb. Just like it peaked. 

But in that moment, it's real. It's painful. 

And I know I cried for something that does not exist.

On second thoughts though, maybe I cried because it does not exist.

Saturday, August 5, 2023

Self introductions

Why is there so many ways to look at the same past? Like each version has a life of it's own? Visualise yourself as a nine-tailed fox. Each time you turn back, there is a different start point to your existence.

The past seems to keep evolving into a history that I never truly lived, but it makes sense. Because each time I look back, my present self is at a different vantage point.

Looking for a stable future seems suddenly pointless. And to think that this was what kept me down for a good part of last year. Even after telling myself that I have found short term resolution, I always knew in my heart I had not. But I so wanted to pull myself out of the daze. Self preservation requires the ability to convincingly lie to yourself, I guess.


Most times the strangest person in a room filled with people, is myself. When I introduce myself, I have a well rehearsed script that I stick with. Over time I have learnt to say it with confidence. I used to stutter saying my name at one point. Now, I have made peace with a few variations of it, and I can say it (them) aloud without much thought. I envy (and like) people who can say my name confidently. But annoyingly, I relate most to those who mumble it in a barely audible voice. Perhaps these are the ones who see through my act. They don't pretend to care or understand me (or my name). 

For a while I even took relief in physical stripping to enter a Japanese onsen (public bath house). The act of being able to strip naked in the presence of other people was psychologically speaking, quite difficult for me, but once the bandaid was ripped, gave me an uncanny feeling of liberation, albeit short lived. Metaphorically, I now know the feeling of being able to face yourself. 

And hence also the fact that I am not there yet. 

[Data records, as found in the file]
<<<
First-principles (GGA-PBE) data for crystalline TbBi2C at its relaxed geometry, as listed in the Materials Project.

Summary:
Total moment (μB per atom): 0.00
E_form (eV/atom): 0.776
Calculated volume (Å³/cell): 756

Cell and atoms, written as CIF:
```
data_TbBi2C
_chemical_formula_sum 'Tb8 Bi16 C8'
_cell_length_a 11.552
_cell_length_b 11.552
_cell_length_c 5.662
_cell_angle_alpha 90.00
_cell_angle_beta 90.00
_cell_angle_gamma 90.00
_space_group_name_H-M_alt 'P 42/m b c'
_space_group_IT_number 135
_space_group_name_Hall '-P 4c 2ab'
loop_
_atom_site_label
_atom_site_type_symbol
_atom_site_fract_x
_atom_site_fract_y
_atom_site_fract_z
Tb1 Tb 0.162 0.338 0.250
Bi1 Bi 0.066 0.121 0.000
Bi2 Bi 0.110 0.611 0.000
C1 C 0.077 0.144 0.500
```


First-principles (GGA-PBE) data for crystalline YBi2C at its relaxed geometry, as listed in the Materials Project.

Summary:
Total moment (μB per atom): 0.00
E_form (eV/atom): 0.773
Calculated volume (Å³/cell): 755

Cell and atoms, written as CIF:
```
data_YBi2C
_chemical_formula_sum 'Y8 Bi16 C8'
_cell_length_a 11.532
_cell_length_b 11.532
_cell_length_c 5.681
_cell_angle_alpha 90.00
_cell_angle_beta 90.00
_cell_angle_gamma 90.00
_space_group_name_H-M_alt 'P 42/m b c'
_space_group_IT_number 135
_space_group_name_Hall '-P 4c 2ab'
loop_
_atom_site_label
_atom_site_type_symbol
_atom_site_fract_x
_atom_site_fract_y
_atom_site_fract_z
Y1 Y 0.164 0.336 0.250
Bi1 Bi 0.068 0.120 0.000
Bi2 Bi 0.109 0.610 0.500
C1 C 0.079 0.144 0.500
```


First-principles (GGA-PBE) data for crystalline Ca11Bi10 at its relaxed geometry, as listed in the Materials Project.

Summary:
E_form (eV/atom): -0.806
Calculated volume (Å³/cell): 2737

Cell and atoms, written as CIF:
```
data_Ca11Bi10
_chemical_formula_sum 'Ca44 Bi40'
_cell_length_a 12.373
_cell_length_b 12.373
_cell_length_c 17.881
_cell_angle_alpha 90.00
_cell_angle_beta 90.00
_cell_angle_gamma 90.00
_space_group_name_H-M_alt 'I 4/m m m'
_space_group_IT_number 139
_space_group_name_Hall '-I 4 2'
loop_
_atom_site_label
_atom_site_type_symbol
_atom_site_fract_x
_atom_site_fract_y
_atom_site_fract_z
Ca1 Ca 0.000 0.000 0.164
>>>

After 4 decades of living both inside and outside of myself, I am still too scared to bare all, and look at myself for who I am. A 'me' without my parents, family, friends, without a job and without internet. I cannot put a face to this person. I have gotten used to the comfort of my parasitic existence, where I live off multiple refracted versions of a personality created purely by my circumstance.

And no matter how many times I turn back, the one unchanging fear that has lived through each iteration of my history, is the fear of digging deep only to find an empty shell.

Saturday, January 28, 2023

Night in shining armour

So I am back to this dark corner of my mind and this blog, which I realize is just an extended representation of the same. 

Actually I never really thought of my writing as dark and depressing, until this person who read my blog for the first time, told me so. I guess in my mind I am mostly a lighter version of dark... Like  70% dark chocolate or an espresso kind of dark - not too happy but definitely not the sad kind... Oh well, it's always interesting to see yourself from someone else's point of view.

Anyway, here I am after my holidays and most importantly the trip to Japan last year. And no it was not holiday, but a work trip, it was only a week and I did feel guilty of getting the chance to go back on my own. But at the same time, I was excited beyond words. Because of the unexpectedness of the trip, I guess I couldn't rationalize in my head the intersection of what I deeply wanted, and the sudden manifestation of it in real life.

I was also very scared of going back, scared that the world I had left behind existed only in my head. 

This wasn't true though. And I was happily surprised that our life in Japan was not an illusion but in fact very much real. And I felt the same connect and same strange sense of peace while I was there. Just that this time it was less falling in love, but more of a reassuring steady kind of love. My friend and I even joked about it - 恋じゃなくて普通の愛みたいな感じ。

It also made me realize, that I am the kind of person who can overthink and ruin a perfectly good relationship by constantly questioning it's goodness. 

A bit like a night sky. Filled with light from countless stars, and yet you mostly see the darkness.